### File
____________
A structure of composition C27H39N5O2Pb. Source: OMol25; level of theory: ωB97M-V/def2-TZVPD.

Element x y z (Å)
Pb  -0.13711  -0.35722  0.24532
C  2.23949  0.79289  -2.29412
C  0.95960  0.18434  -2.94131
N  -0.24421  0.62527  -2.25216
C  -0.53311  2.04943  -2.41274
C  -1.12629  2.68332  -1.15276
N  -0.38350  2.36682  0.06780
C  0.87791  3.06808  0.30718
C  2.04807  2.62350  -0.60297
N  2.05262  1.20409  -0.90919
H  3.03139  0.04498  -2.35657
H  2.57093  1.64826  -2.88943
H  0.95323  0.45485  -4.00566
H  0.99841  -0.90198  -2.87282
H  -1.05701  0.06471  -2.48265
H  0.39502  2.55804  -2.67039
H  -1.23348  2.22726  -3.23625
H  -1.20256  3.76889  -1.31233
H  -2.12892  2.27756  -1.01378
H  -1.00090  2.54266  0.85239
H  0.76303  4.15509  0.18646
H  1.14865  2.87339  1.34733
H  2.00472  3.19009  -1.53387
H  2.97162  2.93589  -0.10218
H  2.64096  0.67551  -0.28430
O  -2.43371  -0.15987  -0.37186
C  -3.55482  -0.03389  0.26547
C  -4.67017  0.48710  -0.44762
C  -5.90204  0.67983  0.12326
C  -6.10938  0.36508  1.46729
C  -5.05418  -0.13303  2.19338
C  -3.78179  -0.35800  1.63948
C  -2.76472  -0.98823  2.47326
N  -1.50209  -1.26198  2.16797
C  -0.96182  -1.96494  3.22017
C  -1.89223  -2.10443  4.19493
N  -3.02270  -1.48429  3.71669
H  -4.50372  0.73986  -1.48836
H  -6.71473  1.08718  -0.46622
H  -7.07671  0.50564  1.92997
H  -5.22945  -0.34926  3.24042
H  0.04793  -2.33376  3.17221
H  -1.86419  -2.58398  5.15715
H  -3.88614  -1.40049  4.21734
C  -0.78453  -3.58840  -0.52925
C  0.47044  -4.41106  -0.82063
C  1.00923  -4.10645  -2.22360
C  1.59547  -4.29226  0.19723
C  2.14128  -5.49132  0.64095
C  3.21848  -5.53940  1.50619
C  3.76362  -4.34255  1.93511
C  3.26213  -3.11524  1.52333
C  3.99687  -1.87712  2.02027
C  4.69622  -1.14453  0.87119
C  3.10068  -0.91519  2.80433
C  2.15286  -3.05598  0.62430
O  1.68689  -1.88836  0.20657
H  -1.62243  -3.93596  -1.13647
H  -0.62232  -2.54325  -0.78444
H  -1.06266  -3.64320  0.52449
H  0.16005  -5.45962  -0.80680
H  1.43650  -3.10292  -2.23270
H  0.21731  -4.16798  -2.97555
H  1.79769  -4.81192  -2.48783
H  1.70265  -6.41916  0.28753
H  3.63157  -6.48731  1.82633
H  4.62075  -4.35503  2.60105
H  4.77106  -2.22917  2.70782
H  3.94204  -0.82277  0.15878
H  5.39122  -1.80811  0.35520
H  5.24744  -0.27499  1.23886
H  2.28433  -0.57825  2.16900
H  3.66306  -0.03975  3.14026
H  2.68989  -1.40999  3.68531

Computed properties:
* charge: 0
* frontier orbital gap: 6.9471 eV
* ΔE to the lowest compared entry with this formula, charge and spin: 0.0 kcal per mole

=====

A structure of composition C27H40AgAsN4SSi3. Source: OMol25; level of theory: ωB97M-V/def2-TZVPD.

Element x y z (Å)
Ag  1.22938  -0.49113  -0.88054
N  1.85633  1.13781  3.32192
C  1.82974  -0.14116  3.85242
C  2.04551  -0.63863  5.13398
C  1.93770  -2.00790  5.29150
C  1.62882  -2.85090  4.20970
C  1.41441  -2.34499  2.94217
C  1.51038  -0.96431  2.76950
N  1.33567  -0.19524  1.62405
C  1.55951  1.03681  1.99181
C  1.54206  2.19144  1.08916
C  1.88895  3.46599  1.40832
S  1.86406  4.43810  0.01357
C  1.35665  3.08735  -0.90735
N  1.21278  1.98862  -0.23333
H  2.07583  1.98051  3.82114
H  2.29315  0.00875  5.96846
H  2.10008  -2.44240  6.26998
H  1.56465  -3.91972  4.37696
H  1.18877  -2.98844  2.09869
H  2.19691  3.87059  2.36376
H  1.18708  3.16593  -1.97808
C  3.28517  -0.92551  -1.60212
C  3.95785  0.35268  -1.44208
C  4.46312  0.76975  -0.18976
C  5.00526  2.02290  0.00093
C  5.07937  2.93753  -1.05433
C  4.60989  2.53996  -2.31080
C  4.06631  1.28511  -2.49624
C  5.58227  4.26872  -0.83556
N  5.95915  5.34262  -0.64864
H  3.64778  -1.67270  -0.89839
H  3.32081  -1.30882  -2.61697
H  4.40814  0.07528  0.64448
H  5.38510  2.31302  0.97460
H  4.67693  3.23440  -3.13922
H  3.69973  1.00223  -3.47717
C  -4.27798  0.29743  -2.78963
Si  -2.48726  0.69497  -2.45276
C  -1.50372  0.42820  -4.01861
C  -2.39999  2.48384  -1.93214
As  -1.40823  -0.61012  -0.81586
Si  -2.60175  -0.06042  1.13651
C  -4.44762  0.05362  0.83405
____________

### Assignment
Could you echo only the last part of the rows earlier on, starting with the line that has "-1.87712"?

### Response
C  3.99687  -1.87712  2.02027
C  4.69622  -1.14453  0.87119
C  3.10068  -0.91519  2.80433
C  2.15286  -3.05598  0.62430
O  1.68689  -1.88836  0.20657
H  -1.62243  -3.93596  -1.13647
H  -0.62232  -2.54325  -0.78444
H  -1.06266  -3.64320  0.52449
H  0.16005  -5.45962  -0.80680
H  1.43650  -3.10292  -2.23270
H  0.21731  -4.16798  -2.97555
H  1.79769  -4.81192  -2.48783
H  1.70265  -6.41916  0.28753
H  3.63157  -6.48731  1.82633
H  4.62075  -4.35503  2.60105
H  4.77106  -2.22917  2.70782
H  3.94204  -0.82277  0.15878
H  5.39122  -1.80811  0.35520
H  5.24744  -0.27499  1.23886
H  2.28433  -0.57825  2.16900
H  3.66306  -0.03975  3.14026
H  2.68989  -1.40999  3.68531

Computed properties:
* charge: 0
* frontier orbital gap: 6.9471 eV
* ΔE to the lowest compared entry with this formula, charge and spin: 0.0 kcal per mole

=====

A structure of composition C27H40AgAsN4SSi3. Source: OMol25; level of theory: ωB97M-V/def2-TZVPD.

Element x y z (Å)
Ag  1.22938  -0.49113  -0.88054
N  1.85633  1.13781  3.32192
C  1.82974  -0.14116  3.85242
C  2.04551  -0.63863  5.13398
C  1.93770  -2.00790  5.29150
C  1.62882  -2.85090  4.20970
C  1.41441  -2.34499  2.94217
C  1.51038  -0.96431  2.76950
N  1.33567  -0.19524  1.62405
C  1.55951  1.03681  1.99181
C  1.54206  2.19144  1.08916
C  1.88895  3.46599  1.40832
S  1.86406  4.43810  0.01357
C  1.35665  3.08735  -0.90735
N  1.21278  1.98862  -0.23333
H  2.07583  1.98051  3.82114
H  2.29315  0.00875  5.96846
H  2.10008  -2.44240  6.26998
H  1.56465  -3.91972  4.37696
H  1.18877  -2.98844  2.09869
H  2.19691  3.87059  2.36376
H  1.18708  3.16593  -1.97808
C  3.28517  -0.92551  -1.60212
C  3.95785  0.35268  -1.44208
C  4.46312  0.76975  -0.18976
C  5.00526  2.02290  0.00093
C  5.07937  2.93753  -1.05433
C  4.60989  2.53996  -2.31080
C  4.06631  1.28511  -2.49624
C  5.58227  4.26872  -0.83556
N  5.95915  5.34262  -0.64864
H  3.64778  -1.67270  -0.89839
H  3.32081  -1.30882  -2.61697
H  4.40814  0.07528  0.64448
H  5.38510  2.31302  0.97460
H  4.67693  3.23440  -3.13922
H  3.69973  1.00223  -3.47717
C  -4.27798  0.29743  -2.78963
Si  -2.48726  0.69497  -2.45276
C  -1.50372  0.42820  -4.01861
C  -2.39999  2.48384  -1.93214
As  -1.40823  -0.61012  -0.81586
Si  -2.60175  -0.06042  1.13651
C  -4.44762  0.05362  0.83405